It remains to start at the top of the material further below and retype each line, ending with the one that has "0.996 4.230".

'''
36
Properties=species:S:1:pos:R:3:mulliken_spin:R:1 method="wB97M-V/def2-TZVPD" e_homo_ev="-6.21 / -6.22" multiplicity=2 charge=-1 lumo_energy_ev="0.74 / -0.61" de_lowest_ev=1.2594
Pd -1.328 -1.213 -0.173 0.039
S -5.616 -2.742 -0.688 -0.002
Sb -4.154 -2.101 0.829 -0.001
S -2.116 -3.248 0.708 -0.009
S -1.509 1.108 -0.735 0.548
S -4.393 -0.514 2.365 -0.002
F 2.623 -3.597 4.714 0.000
C 1.786 -2.886 3.945 0.002
C 0.695 -2.247 4.506 -0.001
F 0.479 -2.349 5.823 0.000
C -0.170 -1.518 3.714 0.004
F -1.217 -0.920 4.284 0.000
C 0.029 -1.389 2.333 -0.007
O -0.797 -0.634 1.623 0.016
C 1.151 -2.032 1.801 0.005
F 1.401 -1.927 0.489 0.001
C 2.010 -2.777 2.587 -0.003
F 3.069 -3.382 2.039 0.000
F -1.878 -1.333 -2.212 0.004
As -0.460 -1.504 -3.382 -0.002
F -1.066 -0.136 -4.234 0.001
F -1.448 -2.541 -4.319 0.000
F 0.889 -1.690 -4.419 0.000
F 0.050 -2.806 -2.379 0.002
F 0.403 -0.395 -2.340 0.002
Se 0.179 1.803 0.272 0.373
C 0.695 3.252 -0.889 -0.006
C 1.288 4.377 -0.339 0.018
C 1.701 5.382 -1.200 -0.010
N 1.561 5.325 -2.522 0.023
C 0.996 4.230 -3.028 -0.007
C 0.549 3.162 -2.263 0.018
H 1.419 4.484 0.731 -0.004
H 2.162 6.280 -0.803 -0.001
H 0.899 4.192 -4.107 0.000
H 0.119 2.286 -2.732 -0.002

***

25
Properties=species:S:1:pos:R:3:lowdin_charge:R:1 method="wB97M-V/def2-TZVPD" e_homo_ev=-3.83 charge=-1 lumo_energy_ev=2.44 de_lowest_ev=0.0231
Cu 2.002 0.218 1.040 0.178
Br -2.831 3.410 4.782 0.649
C -1.975 2.429 3.407 -0.777
C -2.694 1.955 2.329 -0.783
Br -4.553 2.275 2.177 0.646
C -2.022 1.228 1.333 -0.635
Br -2.941 0.546 -0.185 0.706
C -0.664 0.965 1.387 -0.405
O -0.023 0.289 0.483 -0.225
C 0.098 1.464 2.511 -0.433
O 1.369 1.236 2.572 -0.197
C -0.596 2.182 3.488 -0.649
Br 0.447 2.814 4.937 0.709
S 3.234 -0.844 -0.424 0.682
C 2.102 -1.349 -1.596 -0.684
N 0.778 -1.074 -1.496 0.077
C -0.143 -1.456 -2.400 -0.065
C 0.205 -2.171 -3.507 -0.073
C 1.567 -2.490 -3.665 -0.076
C 2.490 -2.094 -2.741 -0.103
H 0.417 -0.520 -0.671 0.056
H -1.153 -1.150 -2.163 0.102
H -0.543 -2.471 -4.224 0.097
H 1.891 -3.059 -4.528 0.104
H 3.538 -2.332 -2.848 0.097

***

34
Properties=species:S:1:pos:R:3:lowdin_charge:R:1 method="wB97M-V/def2-TZVPD" e_homo_ev=-4.88 charge=-1 lumo_energy_ev=-0.14
O 3.307 -1.792 -0.222 -0.263
S 2.882 -0.501 -0.691 0.795
O 3.149 0.728 0.038 -0.275
C 3.709 -0.281 -2.386 -0.608
F 5.048 -0.334 -2.206 0.129
F 3.333 -1.271 -3.222 0.126
F 3.379 0.909 -2.925 0.127
C 1.107 -0.535 -0.990 -0.241
C 0.438 0.673 -1.251 0.080
C -0.885 0.573 -1.693 -0.095
N -1.697 1.546 -2.270 -0.143
O -1.570 2.719 -2.576 0.084
O -2.938 0.877 -2.520 0.042
N -2.879 -0.459 -2.170 0.149
C -1.603 -0.633 -1.723 -0.143
C -0.930 -1.832 -1.304 -0.062
N -1.635 -3.059 -1.009 -0.304
O -2.878 -3.090 -0.927 0.075
O -0.927 -4.072 -0.796 0.046
C 0.444 -1.772 -1.033 0.047
H 0.954 1.623 -1.348 0.142
H 0.987 -2.684 -0.781 0.137
C 0.451 1.144 2.193 0.014
C 0.019 2.150 3.106 -0.488
O 0.690 3.068 3.604 -0.021
N -1.346 2.055 3.529 0.092
C -2.265 1.089 3.199 -0.878
S -3.878 1.099 3.669 0.490
N -1.716 0.109 2.426 0.089
C -0.326 -0.044 2.111 -0.490
O 0.069 -1.171 1.792 -0.005
H 1.516 1.064 2.016 0.089
H -1.703 2.809 4.119 0.132
H -2.304 -0.703 2.241 0.131

***

24
Properties=species:S:1:pos:R:3:lowdin_charge:R:1 method="wB97M-V/def2-TZVPD" e_homo_ev=-12.23 charge=+1 lumo_energy_ev=-4.84 de_lowest_ev=0.0000
O -5.302 2.159 -4.586 0.036
C -4.404 1.645 -4.101 -0.004
Pb -1.661 -0.061 -1.787 0.895
C 0.434 -1.379 -1.409 -0.145
O 1.448 -1.870 -1.204 0.131
C -2.241 0.145 0.884 -0.079
O -2.389 0.175 2.023 0.121
C -2.881 -2.260 -1.332 -0.077
O -3.634 -3.108 -1.184 0.152
C -0.845 2.327 -1.285 -0.128
O -0.553 3.394 -1.008 0.137
H -3.262 0.823 -1.288 -0.120
N 2.262 -3.048 3.373 0.187
C 2.208 -2.052 2.753 -0.156
C 2.068 -0.854 1.973 -0.198
C 3.185 -0.123 1.570 0.017
C 2.976 0.921 0.677 -0.010
C 1.677 1.169 0.195 -0.134
N 0.628 0.475 0.627 0.006
C 0.785 -0.487 1.533 -0.109
H 4.188 -0.368 1.949 0.145
H 3.810 1.493 0.287 0.119
H 1.564 1.945 -0.572 0.098
H -0.064 -1.060 1.909 0.117

***

25
'''

36
Properties=species:S:1:pos:R:3:mulliken_spin:R:1 method="wB97M-V/def2-TZVPD" e_homo_ev="-6.21 / -6.22" multiplicity=2 charge=-1 lumo_energy_ev="0.74 / -0.61" de_lowest_ev=1.2594
Pd -1.328 -1.213 -0.173 0.039
S -5.616 -2.742 -0.688 -0.002
Sb -4.154 -2.101 0.829 -0.001
S -2.116 -3.248 0.708 -0.009
S -1.509 1.108 -0.735 0.548
S -4.393 -0.514 2.365 -0.002
F 2.623 -3.597 4.714 0.000
C 1.786 -2.886 3.945 0.002
C 0.695 -2.247 4.506 -0.001
F 0.479 -2.349 5.823 0.000
C -0.170 -1.518 3.714 0.004
F -1.217 -0.920 4.284 0.000
C 0.029 -1.389 2.333 -0.007
O -0.797 -0.634 1.623 0.016
C 1.151 -2.032 1.801 0.005
F 1.401 -1.927 0.489 0.001
C 2.010 -2.777 2.587 -0.003
F 3.069 -3.382 2.039 0.000
F -1.878 -1.333 -2.212 0.004
As -0.460 -1.504 -3.382 -0.002
F -1.066 -0.136 -4.234 0.001
F -1.448 -2.541 -4.319 0.000
F 0.889 -1.690 -4.419 0.000
F 0.050 -2.806 -2.379 0.002
F 0.403 -0.395 -2.340 0.002
Se 0.179 1.803 0.272 0.373
C 0.695 3.252 -0.889 -0.006
C 1.288 4.377 -0.339 0.018
C 1.701 5.382 -1.200 -0.010
N 1.561 5.325 -2.522 0.023
C 0.996 4.230 -3.028 -0.007